== Material ==
[1]
As5Rh PBE relaxed; space group = P4/mmm, No. 123; polymorph energy (0 for the lowest one) = 1.43 eV per formula unit; E = -4.898 eV/atom; density of states at the Fermi level = 2.491 states/eV per cell; formation enthalpy at 0 K = 0.202 eV/atom
1.0
-1.996 -2.314 0.635
1.731 -0.816 2.466
-5.980 6.943 6.497
As Rh
5 1
Direct
0.000 0.000 0.865
0.000 0.000 0.135
0.500 0.500 0.662
0.500 0.500 0.338
0.000 0.000 0.500
0.500 0.500 0.000

***

[2]
As2Rh PBE relaxed; space group = I4_1/amd, No. 141; E = -5.697 eV/atom; density of states at the Fermi level = 4.440 states/eV per cell; formation enthalpy at 0 K = -0.147 eV/atom
1.0
1.292 -9.970 5.946
2.504 -7.066 8.957
-3.958 8.663 -6.761
As Rh
4 2
Direct
0.566 0.566 0.000
0.184 0.684 0.500
0.434 0.434 0.000
0.316 0.816 0.500
0.000 0.000 0.000
0.750 0.250 0.500

***

[3]
As3Rh2 PBE relaxed; space group = R-3c, No. 167; E = -6.051 eV/atom; density of states at the Fermi level = 5.766 states/eV per cell; formation enthalpy at 0 K = -0.320 eV/atom
1.0
-5.091 1.759 3.514
-0.343 -1.639 6.209
0.575 4.391 4.521
As Rh
6 4
Direct
0.081 0.750 0.750
0.750 0.419 0.750
0.419 0.081 0.750
0.250 0.581 0.250
0.581 0.919 0.250
0.919 0.250 0.250
0.841 0.841 0.476
0.341 0.341 0.976
0.159 0.159 0.524
0.659 0.659 0.024

***

[4]
AsRh2 PBE relaxed; space group = C2/m, No. 12; E = -6.604 eV/atom; density of states at the Fermi level = 5.491 states/eV per cell; formation enthalpy at 0 K = -0.153 eV/atom
1.0
-4.168 -0.030 -2.745
-2.928 -2.666 -3.039
-5.884 -3.103 2.998
As Rh
2 4
Direct
0.465 0.465 0.297
0.535 0.535 0.703
0.135 0.135 0.003
0.821 0.821 0.619
0.179 0.179 0.381
0.865 0.865 0.997

***

[5]
AsRh2 PBE relaxed; space group = Cmcm, No. 63; E = -6.566 eV/atom; density of states at the Fermi level = 6.536 states/eV per cell; formation enthalpy at 0 K = -0.115 eV/atom
1.0
3.510 -0.338 -5.735
-4.724 2.489 4.100
3.087 3.042 1.710
As Rh
2 4
Direct
0.796 0.204 0.750
0.204 0.796 0.250
0.130 0.870 0.750
0.445 0.555 0.750
0.555 0.445 0.250
0.870 0.130 0.250

***

[6]
AsRh2 PBE relaxed; space group = I4/mmm, No. 139; E = -6.590 eV/atom; density of states at the Fermi level = 3.227 states/eV per cell; formation enthalpy at 0 K = -0.139 eV/atom
1.0
-0.625 4.735 2.590
0.109 1.541 5.209
2.321 -2.785 -4.047
As Rh
1 2
Direct
0.000 0.000 0.000
0.648 0.648 0.000
0.352 0.352 0.000

***

[7]
As5Rh PBE relaxed; space group = Cmmm, No. 65; polymorph energy (0 for the lowest one) = 0.00 eV per formula unit; E = -5.137 eV/atom; density of states at the Fermi level = 3.820 states/eV per cell; formation enthalpy at 0 K = -0.037 eV/atom
1.0
-3.493 1.180 5.261
3.301 -4.485 -3.203
4.189 1.305 2.488
As Rh
5 1
Direct
0.000 0.000 0.000
0.319 0.681 0.000
0.681 0.319 0.000
0.374 0.626 0.500
0.626 0.374 0.500
0.000 0.000 0.500

***

[8]
As2Rh PBE relaxed; space group = Cmcm, No. 63; E = -5.745 eV/atom; density of states at the Fermi level = 3.413 states/eV per cell; formation enthalpy at 0 K = -0.194 eV/atom
1.0
5.854 1.942 0.744
-5.940 1.555 -0.943
-0.707 0.260 4.881
As Rh
4 2
Direct
0.648 0.352 0.750
0.959 0.041 0.750
0.041 0.959 0.250
0.352 0.648 0.250
0.303 0.697 0.750
0.697 0.303 0.250

***

[9]
AsRh2 PBE relaxed; space group = I4_1/amd, No. 141; E = -6.522 eV/atom; density of states at the Fermi level = 4.524 states/eV per cell; formation enthalpy at 0 K = -0.071 eV/atom
1.0
9.976 -0.896 3.819
8.347 1.948 6.438
-9.790 -2.065 -3.848
As Rh
2 4
Direct
0.250 0.750 0.500
0.500 0.500 0.000
0.681 0.181 0.500
0.069 0.069 0.000
0.819 0.319 0.500
0.931 0.931 0.000

***

[10]
As2Rh PBE relaxed; space group = Fm-3m, No. 225; E = -5.847 eV/atom; density of states at the Fermi level = 2.344 states/eV per cell; formation enthalpy at 0 K = -0.297 eV/atom
1.0
-2.057 -0.754 3.641
-2.789 -3.197 0.242
0.927 -3.460 2.287
As Rh
2 1
Direct
0.750 0.750 0.750
0.250 0.250 0.250
0.000 0.000 0.000

***

[11]

== Activity ==
Set down only the last part of the rows above, starting with the line that has "167;".

== Solution ==
As3Rh2 PBE relaxed; space group = R-3c, No. 167; E = -6.051 eV/atom; density of states at the Fermi level = 5.766 states/eV per cell; formation enthalpy at 0 K = -0.320 eV/atom
1.0
-5.091 1.759 3.514
-0.343 -1.639 6.209
0.575 4.391 4.521
As Rh
6 4
Direct
0.081 0.750 0.750
0.750 0.419 0.750
0.419 0.081 0.750
0.250 0.581 0.250
0.581 0.919 0.250
0.919 0.250 0.250
0.841 0.841 0.476
0.341 0.341 0.976
0.159 0.159 0.524
0.659 0.659 0.024

***

[4]
AsRh2 PBE relaxed; space group = C2/m, No. 12; E = -6.604 eV/atom; density of states at the Fermi level = 5.491 states/eV per cell; formation enthalpy at 0 K = -0.153 eV/atom
1.0
-4.168 -0.030 -2.745
-2.928 -2.666 -3.039
-5.884 -3.103 2.998
As Rh
2 4
Direct
0.465 0.465 0.297
0.535 0.535 0.703
0.135 0.135 0.003
0.821 0.821 0.619
0.179 0.179 0.381
0.865 0.865 0.997

***

[5]
AsRh2 PBE relaxed; space group = Cmcm, No. 63; E = -6.566 eV/atom; density of states at the Fermi level = 6.536 states/eV per cell; formation enthalpy at 0 K = -0.115 eV/atom
1.0
3.510 -0.338 -5.735
-4.724 2.489 4.100
3.087 3.042 1.710
As Rh
2 4
Direct
0.796 0.204 0.750
0.204 0.796 0.250
0.130 0.870 0.750
0.445 0.555 0.750
0.555 0.445 0.250
0.870 0.130 0.250

***

[6]
AsRh2 PBE relaxed; space group = I4/mmm, No. 139; E = -6.590 eV/atom; density of states at the Fermi level = 3.227 states/eV per cell; formation enthalpy at 0 K = -0.139 eV/atom
1.0
-0.625 4.735 2.590
0.109 1.541 5.209
2.321 -2.785 -4.047
As Rh
1 2
Direct
0.000 0.000 0.000
0.648 0.648 0.000
0.352 0.352 0.000

***

[7]
As5Rh PBE relaxed; space group = Cmmm, No. 65; polymorph energy (0 for the lowest one) = 0.00 eV per formula unit; E = -5.137 eV/atom; density of states at the Fermi level = 3.820 states/eV per cell; formation enthalpy at 0 K = -0.037 eV/atom
1.0
-3.493 1.180 5.261
3.301 -4.485 -3.203
4.189 1.305 2.488
As Rh
5 1
Direct
0.000 0.000 0.000
0.319 0.681 0.000
0.681 0.319 0.000
0.374 0.626 0.500
0.626 0.374 0.500
0.000 0.000 0.500

***

[8]
As2Rh PBE relaxed; space group = Cmcm, No. 63; E = -5.745 eV/atom; density of states at the Fermi level = 3.413 states/eV per cell; formation enthalpy at 0 K = -0.194 eV/atom
1.0
5.854 1.942 0.744
-5.940 1.555 -0.943
-0.707 0.260 4.881
As Rh
4 2
Direct
0.648 0.352 0.750
0.959 0.041 0.750
0.041 0.959 0.250
0.352 0.648 0.250
0.303 0.697 0.750
0.697 0.303 0.250

***

[9]
AsRh2 PBE relaxed; space group = I4_1/amd, No. 141; E = -6.522 eV/atom; density of states at the Fermi level = 4.524 states/eV per cell; formation enthalpy at 0 K = -0.071 eV/atom
1.0
9.976 -0.896 3.819
8.347 1.948 6.438
-9.790 -2.065 -3.848
As Rh
2 4
Direct
0.250 0.750 0.500
0.500 0.500 0.000
0.681 0.181 0.500
0.069 0.069 0.000
0.819 0.319 0.500
0.931 0.931 0.000

***

[10]
As2Rh PBE relaxed; space group = Fm-3m, No. 225; E = -5.847 eV/atom; density of states at the Fermi level = 2.344 states/eV per cell; formation enthalpy at 0 K = -0.297 eV/atom
1.0
-2.057 -0.754 3.641
-2.789 -3.197 0.242
0.927 -3.460 2.287
As Rh
2 1
Direct
0.750 0.750 0.750
0.250 0.250 0.250
0.000 0.000 0.000

***

[11]